Brexit Resources
The UK has left the EU, and the Brexit transition period has ended. There are new rules for businesses doing business with the EU.
Find out how new Brexit rules apply to things like travel and doing business with Europe in the Government’s Brexit guidance pages.
Quick links
HMRC has a range of support, guidance and webinars to help you understand what you need to do when importing and exporting goods.
The Department for International Trade (DIT) has published an online tool for UK exporters. The Check How to Export Goods (CHEG) tool is aimed at UK exporters and pulls together information on the UK border, duties, rules of origin and customs procedures.
Find  out if you need to use the UKCA marking and how to use it on the web pages here.
Get help with moving agri-food goods to Northern Ireland. Get advice and help to meet new requirements if you’re a trader, and understand how you can claim money back if you provide an inspection and certification service. Detail here.
UK Transition guidance provided by

Ask the export support team a question
If you are a UK business selling goods or services to Europe, you can contact the UK government export support team by phone or online. You might have questions on exporting to new markets, paperwork to send goods abroad, or rules for a specific country.
Ask a question online: Ask the export support team a question – GOV.UK (
Brexit support
We have brought together an extensive pack of Brexit support resources for businesses below:
Here is a step by step guide about importing goods into the UK from any county, including the UK. Click on the link here – import good into the UK
## Data records from another source follow
Computed powder diffractogram of ScFe3O8 for λ = 1.5418 Å (Cu Kα), from a structure optimized by DFT (PBE+U).
Neutral-atom scattering factors, no anomalous dispersion.

Atomic structure:
```
data_ScFe3O8
_cell_length_a 9.998
_cell_length_b 5.867
_cell_length_c 6.294
_cell_angle_alpha 90.00
_cell_angle_beta 124.79
_cell_angle_gamma 90.00
_space_group_name_H-M_alt 'C 1 2/m 1'
_space_group_IT_number 12
loop_
_space_group_symop_operation_xyz
'x,y,z'
'-x,-y,-z'
'-x,y,-z'
'x,-y,z'
'x+1/2,y+1/2,z'
'-x+1/2,-y+1/2,-z'
'-x+1/2,y+1/2,-z'
'x+1/2,-y+1/2,z'
loop_
_atom_site_label
_atom_site_type_symbol
_atom_site_fract_x
_atom_site_fract_y
_atom_site_fract_z
Sc1 Sc 0.000 0.000 0.000
Fe1 Fe 0.000 0.000 0.500
Fe2 Fe 0.120 0.500 0.380
O1 O 0.001 0.229 0.262
O2 O 0.240 0.000 0.714
O3 O 0.246 0.500 0.722
```

Main lines, most intense first (2θ = 5–70°):
2θ 17.15, I = 100, hkl 0 0 1; 2θ 30.47, I = 83, hkl 0 2 0; 2θ 34.85, I = 83, hkl 3 1 -2; 2θ 33.51, I = 76, hkl 1 1 -2; 2θ 36.22, I = 70, hkl 3 1 0; 2θ 30.89, I = 56, hkl 3 1 -1; 2θ 21.65, I = 50, hkl 2 0 0; 2θ 60.95, I = 41, hkl 2 2 2; 2θ 29.38, I = 38, hkl 1 1 1; 2θ 64.36, I = 35, hkl 6 2 -2

----------

Diffraction record for Li7Pb3. The powder diffractogram is calculated, not measured: it uses a PBE-relaxed structure and Cu Kα (weighted mean of Kα1 and Kα2).
Neutral-atom scattering factors, no anomalous dispersion.

```
data_Li7Pb3
_cell_length_a 14.8345
_cell_length_b 4.7415
_cell_length_c 5.9586
_cell_angle_alpha 90.00
_cell_angle_beta 108.24
_cell_angle_gamma 90.00
_symmetry_space_group_name_H-M 'C 1 2/m 1'
_symmetry_Int_Tables_number 12
_symmetry_space_group_name_Hall '-C 2y'
loop_
_atom_site_label
_atom_site_fract_x
_atom_site_fract_y
_atom_site_fract_z
Li1 0.0000 0.0000 0.0000
Li2 0.1057 0.5000 0.3913
Li3 0.1070 0.5000 0.8760
Li4 0.1996 0.0000 0.7612
Pb1 0.0000 0.0000 0.5000
Pb2 0.1955 0.0000 0.2540
```

Top 10 peaks for 5 to 70 degrees two-theta, by angle:
- 2θ = 19.76°, I = 67, (1 1 0)
- 2θ = 23.03°, I = 41, (2 0 1)
- 2θ = 25.26°, I = 72, (4 0 -1)
- 2θ = 26.53°, I = 100, (1 1 1)
- 2θ = 27.86°, I = 42, (3 1 -1)
- 2θ = 30.13°, I = 27, (2 0 -2)
- 2θ = 36.80°, I = 47, (3 1 -2)
- 2θ = 37.11°, I = 53, (5 1 0)
- 2θ = 46.14°, I = 30, (4 2 -1)
- 2θ = 50.55°, I = 28, (1 1 -3)
## Here the piece continues
Here are a variety of webinars relating to Brexit and the transition to new trading arrangements (to note, some webinars from the archives may contain out of date information).
Department for Environment, Food & Rural Affairs webinars
The webinars hosted by the Department for Environment, Food & Rural Affairs are now available to watch online. The webinars covered the following topics:
- Exporting Products of Animal Origin (POAO) from Great Britain to the European Union
- Exporting Fish and Fishery Products for Human Consumption from Great Britain to the European Union
- Exporting Live Animals from Great Britain to the European Union
- Exporting Equines from Great Britain to the European Union
- Exporting Composite Goods from Great Britain to the European Union
- Export Health Certificates
To view the above webinars, visit the webpage here
Cabinet Office webinars
Short-form videos about trading with the EU are available online here and additional videos here.
Department for International Trade Webinars
The DIT’s Export Academy is open to businesses in the South West.
The Academy will take businesses through the essentials for exporting their goods overseas.
Growth Hub webinars
== Records of crystals, kept here for reference ==
=====
Diffraction record for Pr2Ga3Pt5. The powder diffractogram is calculated, not measured: it uses a GGA-PBE-relaxed structure and a wavelength of 1.5418 Å.
Peak positions follow from Bragg's law for the DFT cell and can differ from measured ones.

Top 6 peaks for 2θ from 10° to 90°, low angle first:
index  2θ (°)  d_spacing  I_rel
2 0 0  17.8  4.978  41
2 4 0  31.9  2.802  60
3 2 1  33.8  2.653  82
1 5 0  34.3  2.616  29
2 0 2  35.7  2.513  66
0 4 2  40.9  2.208  100

Crystal structure
Cell: 9.955 13.558 5.823 Å, 90.00 90.00 90.00°
Space group Ibam (No. 72)
Symmetry-distinct sites (fractional):
1 Pr 0.228 0.141 0.000 [8 per cell]
2 Ga 0.000 0.000 0.250 [4 per cell]
3 Ga 0.151 0.397 0.000 [8 per cell]
4 Pt 0.000 0.287 0.250 [8 per cell]
5 Pt 0.000 0.500 0.250 [4 per cell]
6 Pt 0.106 0.133 0.500 [8 per cell]


Diffraction record for HoPd5Pt5. The powder diffractogram is calculated, not measured: it uses a GGA-PBE-relaxed structure and a wavelength of 1.5418 Å.
Peak positions follow from Bragg's law for the DFT cell and can differ from measured ones.

Top 6 peaks for 2θ from 10° to 90°, low angle first:
index  2θ (°)  d_spacing  I_rel
1 1 2  33.5  2.672  28
0 2 2  38.3  2.349  16
2 0 0  40.3  2.240  100
1 2 -1  41.5  2.177  89
1 2 2  43.5  2.080  24
3 2 -1  74.0  1.281  16

Crystal structure
Cell: 4.479 5.480 7.801 Å, 83.97 89.95 89.94°
Space group P-1 (No. 2)
Symmetry-distinct sites (fractional):
1 Ho 0.000 0.000 0.000 [1 per cell]
2 Pd 0.000 0.500 0.000 [1 per cell]
3 Pd 0.001 0.828 0.648 [2 per cell]
4 Pd 0.500 0.407 0.175 [2 per cell]
5 Pt 0.000 0.337 0.682 [2 per cell]
6 Pt 0.500 0.077 0.722 [2 per cell]
7 Pt 0.500 0.500 0.500 [1 per cell]


Diffraction record for Nd2Dy12Er5. The powder diffractogram is calculated, not measured: it uses a GGA-PBE-relaxed structure and a wavelength of 1.5418 Å.
Peak positions follow from Bragg's law for the DFT cell and can differ from measured ones.

Top 6 peaks for 2θ from 10° to 90°, low angle first:
index  2θ (°)  d_spacing  I_rel
0 3 -1  31.4  2.850  35
2 -1 2  31.5  2.837  100
1 -3 1  31.7  2.824  45
2 1 -2  32.2  2.784  95
1 2 1  32.6  2.749  58
0 2 -4  33.1  2.706  54

Crystal structure
Cell: 6.734 8.767 11.326 Å, 111.03 92.48 100.60°
Space group P-1 (No. 2)
Symmetry-distinct sites (fractional):
1 Nd 0.157 0.384 0.071 [2 per cell]
2 Dy 0.120 0.780 0.247 [2 per cell]
3 Dy 0.156 0.977 0.866 [2 per cell]
4 Dy 0.166 0.572 0.685 [2 per cell]
5 Dy 0.338 0.554 0.412 [2 per cell]
6 Dy 0.382 0.139 0.233 [2 per cell]
7 Dy 0.386 0.306 0.773 [2 per cell]
8 Er 0.046 0.179 0.462 [2 per cell]
9 Er 0.380 0.736 0.985 [2 per cell]
10 Er 0.500 0.000 0.500 [1 per cell]


Diffraction record for Rb8BrO4. The powder diffractogram is calculated, not measured: it uses a GGA-PBE-relaxed structure and a wavelength of 1.5418 Å.
Peak positions follow from Bragg's law for the DFT cell and can differ from measured ones.

Top 6 peaks for 2θ from 10° to 90°, low angle first:
index  2θ (°)  d_spacing  I_rel
0 0 1  10.7  8.303  100
=====
We have several webinars available on our YouTube here.
The Q&A sheet from our webinar on the 20 November is also available to download:Â UK Transition Webinar 20 November Q&A
The slides from our webinar on the 11 December are also available to download:Â UK Transition Webinar 11 December Slides
Webinars for EU-based organisations that trade with the UK
Learn more about UK border requirements from 1 January by watching previously-held webinars. Selected webinars are available online here.
Information on public sector contract opportunities in the UK is published on the Find a Tender Service (FTS) online site. Existing Contracts Finder account holders will be able to use the same login credentials for Find a Tender.
Find out about the trade agreements the UK has concluded that are in effect and the progress of our discussions with other countries. See here for UK Trade Agreements with non-EU countries.
Importing goods from the EU to Great Britain
The process for importing goods from the EU has changed. You can follow this guide to importing goods into the UK from any country, click here
Check the terms of your existing contracts with your customers and suppliers and plan how your business will deal with customs declarations, if necessary appoint a customs broker/intermediary to make customs declarations on your behalf for a list of customs agents and fast parcel operators click here you will also need to check if customs guarantees and simplified procedures will be helpful for your business and complete the application processes.
For more details on the exporting lifecycle please go to our step by step exporting toolkit here. You will also need to identify the staff that can be trained on customs and apply for HMRC grant funding.
Trader Support Service (TSS)
(Calculated crystals, as found in the file)
┌──
Entry 1:
Calculated powder X-ray diffraction pattern of Li4V3O8 for Cu Ka, from the PBE+U geometry in the Materials Project.

Structure:
Cell lengths 5.853, 6.149, 10.132 Å; angles 105.97, 90.11, 118.32 degrees
Space group P1 (No. 1)
One atom of each set of equivalent atoms:
Li 0.000 0.000 0.000 (multiplicity 1)
Li 0.028 0.076 0.683 (multiplicity 1)
Li 0.062 0.145 0.359 (multiplicity 1)
Li 0.276 0.573 0.430 (multiplicity 1)
Li 0.489 0.000 0.501 (multiplicity 1)
Li 0.539 0.077 0.182 (multiplicity 1)
Li 0.576 0.146 0.860 (multiplicity 1)
Li 0.786 0.573 0.929 (multiplicity 1)
V 0.025 0.566 0.682 (multiplicity 1)
V 0.033 0.566 0.181 (multiplicity 1)
V 0.276 0.575 0.932 (multiplicity 1)
V 0.532 0.580 0.680 (multiplicity 1)
V 0.540 0.580 0.179 (multiplicity 1)
V 0.787 0.574 0.433 (multiplicity 1)
O 0.111 0.783 0.547 (multiplicity 1)
O 0.162 0.784 0.046 (multiplicity 1)
O 0.164 0.368 0.571 (multiplicity 1)
O 0.185 0.365 0.062 (multiplicity 1)
O 0.376 0.781 0.289 (multiplicity 1)
O 0.381 0.781 0.799 (multiplicity 1)
O 0.420 0.379 0.809 (multiplicity 1)
O 0.448 0.379 0.309 (multiplicity 1)
O 0.634 0.781 0.560 (multiplicity 1)
O 0.636 0.781 0.060 (multiplicity 1)
O 0.671 0.365 0.563 (multiplicity 1)
O 0.695 0.369 0.071 (multiplicity 1)
O 0.890 0.778 0.299 (multiplicity 1)
O 0.896 0.781 0.789 (multiplicity 1)
O 0.914 0.361 0.309 (multiplicity 1)
O 0.936 0.358 0.809 (multiplicity 1)

The 10 most intense peaks (5° ≤ 2θ ≤ 70°), by angle:
| h k l | Position (°2θ) | I_rel |
| --- | --- | --- |
| 0 1 0 | 17.25 | 100 |
| 0 0 2 | 18.43 | 21 |
| -1 1 1 | 20.98 | 11 |
| 1 -2 3 | 35.30 | 10 |
| 2 -1 2 | 35.92 | 29 |
| 2 0 2 | 42.70 | 58 |
| 2 1 2 | 55.28 | 12 |
| 0 2 4 | 60.38 | 11 |
| 2 -2 6 | 63.63 | 11 |
| 2 -1 6 | 66.49 | 7 |



Entry 2:
Calculated powder X-ray diffraction pattern of LaZnCr2O6 for Cu Ka, from the PBE+U geometry in the Materials Project.

Structure:
Cell lengths 7.796, 5.404, 5.333 Å; angles 90.00, 90.00, 90.00 degrees
Space group Pmn2_1 (No. 31)
One atom of each set of equivalent atoms:
La 0.000 0.213 0.000 (multiplicity 2)
Zn 0.000 0.722 0.487 (multiplicity 2)
Cr 0.249 0.255 0.492 (multiplicity 4)
O 0.000 0.304 0.572 (multiplicity 2)
O 0.000 0.772 0.870 (multiplicity 2)
O 0.194 0.949 0.313 (multiplicity 4)
O 0.200 0.465 0.218 (multiplicity 4)

The 10 most intense peaks (5° ≤ 2θ ≤ 70°), by angle:
| h k l | Position (°2θ) | I_rel |
| --- | --- | --- |
| 2 1 1 | 32.94 | 100 |
| 0 2 0 | 33.16 | 22 |
| 0 0 2 | 33.61 | 22 |
| 4 0 0 | 46.60 | 15 |
| 0 2 2 | 47.93 | 25 |
| 4 2 0 | 58.38 | 11 |
| 4 0 2 | 58.67 | 11 |
| 2 3 1 | 59.09 | 16 |
| 2 1 3 | 59.67 | 23 |
| 4 2 2 | 69.08 | 13 |



Entry 3:
Calculated powder X-ray diffraction pattern of VPPbO6 for Cu Ka, from the PBE+U geometry in the Materials Project.

Structure:
Cell lengths 5.701, 9.964, 8.576 Å; angles 90.00, 91.22, 90.00 degrees
Space group P2_1/c (No. 14)
One atom of each set of equivalent atoms:
V 0.153 0.089 0.089 (multiplicity 4)
P 0.162 0.109 0.714 (multiplicity 4)
└──
If you move goods in or out of Northern Ireland the Trader Support Service will guide you through any changes due to the implementation of the Windsor Protocol. See details here.
Chambers of Commerce
Your local chamber of commerce can also assist, please see below:
Devon and Plymouth Chamber or email
Somerset Chamber or email
For an extensive breakdown of the transport and travel guidelines read the information online here.
If you’re a haulier and move goods through a port in the UK that uses the Goods Vehicle Movement Service you’ll need to register for the service to get your goods through customs.
Please ensure your wooden packaging complies with the importing/exporting regulations as stated online here.
Import of products, animals, food and feed system (IPAFFS) is the domestic system for the import of live animals, animal products and high risk food and feed not of animal origin into Great Britain. Import of products, animals, food and feed system (IPAFFS) guide
Immigration and employment
Here is a link to guidance for employers on how to carry out right to work checks, why you need to do them, and which documents you can use. See Right to work checks: an employer’s guide
The UK has introduced a points-based immigration system. Please click here for more details.
Food production and fisheries
Download a copy of our UK-Transition-Farming-Guide. The guide outlines new and existing farming policies for England.
Information and guidance on exporting of fish from the UKÂ is available online here.
Use the Fish Export Service to create a UK catch certificate for fish and shellfish caught by UK flagged vessels for export.
See the guidance here for the rules that manufacturers and importers of fertilisers need to follow when trading in the UK.
The NFU has produced a series of webinars to provide insights for traders of plants/plant products between GB and the EU/NI. Watch online here
Northern Ireland
If you move goods between Great Britain and Northern Ireland the Trader Support Service will guide you through any changes due to the implementation of the Windsor Framework.
Get advice and help to meet new requirements if you’re a trader, and understand how you can claim money back if you provide an inspection and certification service. See the Scheme details here.
Legal, Data and Regulatory
You may need an Economic Operators Registration and Identification number (EORIÂ number) if you move goods between Great Britain and the EU.
Use the Trade Tarriff service here to find a commodity code for goods you’re importing to or exporting from the UK.
See the guidance here for what action you need to take regarding data protection and data flows with the EU/EEA.
The guidance here explains the rules governing address for service for intellectual property rights in the UK.
Guidance for businesses and organisations holding EU trade marks at the end of the transition period is available online.
From 1 January 2021 there are changes to UK intellectual property law to ensure the smooth departure from EU IP systems. See guidance here.
Find out what you need to do if you hold a .eu domain or want to register one. See the guidance here.